Tuesday, March 31, 2015


I woke up feeling the need to pray. It's not often I have the opportunity to have quiet time in my day. When I do, I generally like to spend it in deep thought or prayer. I felt the need to clear my plate so to speak. I have felt a lot of pressure as I have entered into widowhood. Everything...EVERYTHING is now on me. Having to deal with that and still grieving the loss of Isaac and trying desperately to be "strong" and carry my children through their own grief is literally exhausting. Oh, let's not forget to add on Jonah's on going health issues and behavioral problems and Morgan's learning disabilities that seem to be spinning out of control, the business I'm desperately trying to pull together, the remodel of my garage to create a classroom, my 4 hours of sleep each night, my job, fulfilling my daily responsibilities and church calling, and every LDS person I know talking about General Conf. which is just a HUGE reminder that Isaac has been dead for six months. It's to much for me. I can honestly say that I have reached my breaking point.

As I knelt at the side of my bed, bowed my head to reverently start a conversation with my Heavenly Father and I lost it. Nothing but tears and brokenness escaped me.

[Records of crystals from another source follow]
'''
1.
YZrO14: relaxed, PBE.

Cell lengths 8.395, 8.395, 8.395 Å; angles 60.00, 60.00, 60.00 degrees
Sites, in units of the cell vectors:
Y 0.125 0.125 0.125
Y 0.875 0.875 0.875
Zr 0.375 0.375 0.375
Zr 0.625 0.625 0.625
O 0.000 0.000 0.000
O 0.000 0.000 0.500
O 0.000 0.500 0.000
O 0.050 0.291 0.579
O 0.050 0.579 0.291
O 0.050 0.579 0.579
O 0.291 0.050 0.579
O 0.291 0.579 0.050
O 0.291 0.579 0.579
O 0.421 0.421 0.709
O 0.421 0.421 0.950
O 0.421 0.709 0.421
O 0.421 0.709 0.950
O 0.421 0.950 0.421
O 0.421 0.950 0.709
O 0.500 0.000 0.000
O 0.579 0.050 0.291
O 0.579 0.050 0.579
O 0.579 0.291 0.050
O 0.579 0.291 0.579
O 0.579 0.579 0.050
O 0.579 0.579 0.291
O 0.709 0.421 0.421
O 0.709 0.421 0.950
O 0.709 0.950 0.421
O 0.950 0.421 0.421
O 0.950 0.421 0.709
O 0.950 0.709 0.421

Values from the calculation:
- size of the total moment (μB/cell) = 1.95



2.
Tm6InCo2: relaxed, PBE.

Cell lengths 8.281, 8.281, 8.281 Å; angles 111.69, 110.25, 106.52 degrees
Sites, in units of the cell vectors:
Tm 0.028 0.236 0.792
Tm 0.185 0.286 0.471
Tm 0.185 0.714 0.899
Tm 0.318 0.012 0.693
Tm 0.318 0.625 0.307
Tm 0.443 0.236 0.208
Tm 0.557 0.764 0.792
Tm 0.682 0.375 0.693
Tm 0.682 0.988 0.307
Tm 0.815 0.286 0.101
Tm 0.815 0.714 0.529
Tm 0.972 0.764 0.208
In 0.000 0.000 0.000
In 0.500 0.500 0.000
Co 0.114 0.614 0.500
Co 0.369 0.000 0.369
Co 0.631 0.000 0.631
Co 0.886 0.386 0.500



3.
BaBr2O11: relaxed, PBE.

Cell lengths 7.071, 7.071, 11.986 Å; angles 90.00, 90.00, 120.00 degrees
Sites, in units of the cell vectors:
Ba 0.000 0.000 0.000
Ba 0.000 0.000 0.500
Br 0.333 0.667 0.032
Br 0.333 0.667 0.468
Br 0.667 0.333 0.532
Br 0.667 0.333 0.968
O 0.050 0.914 0.750
O 0.086 0.136 0.750
O 0.136 0.050 0.250
O 0.159 0.737 0.082
O 0.159 0.737 0.418
O 0.263 0.422 0.082
O 0.263 0.422 0.418
O 0.333 0.667 0.604
O 0.333 0.667 0.896
O 0.422 0.159 0.582
O 0.422 0.159 0.918
O 0.578 0.841 0.082
O 0.578 0.841 0.418
O 0.667 0.333 0.104
O 0.667 0.333 0.396
O 0.737 0.578 0.582
O 0.737 0.578 0.918
O 0.841 0.263 0.582
O 0.841 0.263 0.918
O 0.864 0.950 0.750
O 0.914 0.864 0.250
O 0.950 0.086 0.250

Values from the calculation:
- size of the total moment (μB/cell) = 0.00



4.
Sm2Ta2Cl2O7: relaxed, PBE.

Cell lengths 7.978, 7.978, 6.921 Å; angles 113.17, 113.17, 28.57 degrees
Sites, in units of the cell vectors:
Sm 0.193 0.193 0.163
Sm 0.807 0.807 0.837
Ta 0.465 0.465 0.200
Ta 0.535 0.535 0.800
Cl 0.180 0.180 0.566
Cl 0.820 0.820 0.434
O 0.047 0.047 0.840
O 0.324 0.324 0.067
O 0.418 0.418 0.846
O 0.500 0.500 0.500
O 0.582 0.582 0.154
O 0.676 0.676 0.933
O 0.953 0.953 0.160

Values from the calculation:
- size of the total moment (μB/cell) = 0.00



5.
CaCO3: relaxed, PBE.

Cell lengths 3.830, 5.123, 6.641 Å; angles 95.21, 105.69, 90.60 degrees
Sites, in units of the cell vectors:
Ca 0.109 0.315 0.258
Ca 0.891 0.685 0.742
C 0.485 0.207 0.754
C 0.515 0.793 0.246
O 0.224 0.715 0.102
O 0.307 0.382 0.639
O 0.381 0.962 0.718
O 0.619 0.038 0.282
O 0.693 0.618 0.361
O 0.776 0.285 0.898



6.
'''
[End of the records of crystals]

I could hear my littles start to wake so I ran into the bathroom and turned on the shower to finish my cry.  I pulled myself together, washed my hair, dressed and started on with my day. By 9am when I walked into my classroom that part of my morning had been forgotten. 11am rolled around I was doing my best to multi task as it is a short week and I had lots to do before I started Spring Break. I was listening and guiding a reading group while filing math assessments.  The group had left the table. I was looking at my list to see who was left and I froze. I felt the familiar pain I suffered through only 2 nights before. I stood up catching myself as I felt extremely dizzy. I walked to the front office. My breathing was noticeably fast and shallow. I was shaking and holding my chest trying to stay on my feet. I was having a heart attack! My boss ran to me as she could see the desperateness in my face. She drove me to the ER. I was trying to just hold my breath as the pain and pressure of  each breath was to much.  Then, just as fast as this horrific pain came into my body, it left. 12 minutes of hell.

We continued on to the ER anyways. After having an EKG and offering up 4 vials of blood all tests came back that I am healthy. I did not have a heart attack. I do not have blood clots I do not have high blood pressure or high cholesterol.

- - -
# 1
First-principles (PBE) data for a relaxed MgNb2O5 crystal, as listed in Materials Project.

Summary:
For the total energy, the calculation gives -63.84 eV per cell. As for the energy relative to the lowest polymorph listed for this composition: 167.1 meV/atom. As for the space group: No. 12. The value obtained for the spin magnetization is 0.00 μB/cell.

Lattice parameters (Å, degrees): 7.2233 7.2233 4.0380 90.84 90.84 29.73
Closest atoms and distances in Å follow each position.
Fractional positions:
1 Mg 0.0000 0.0000 0.0000  8 O 2.48-2.74
2 Nb 0.3558 0.3558 0.4905  5 O 1.99-2.06
3 Nb 0.6442 0.6442 0.5095  5 O 1.99-2.06
4 O 0.1956 0.1956 0.5158  2 Nb 1.99
5 O 0.3824 0.3824 0.9944  2 Nb 2.04-2.06
6 O 0.5000 0.5000 0.5000  2 Nb 2.01
7 O 0.6176 0.6176 0.0056  2 Nb 2.04-2.06
8 O 0.8044 0.8044 0.4842  2 Nb 1.99

---

# 2
First-principles (PBE) data for a relaxed ZnCl2 crystal, as listed in Materials Project.

Summary:
As for the largest piezoelectric modulus: 0.130 C/m2. For the total energy, the calculation gives -33.59 eV per cell. As for the space group: No. 33.

Lattice parameters (Å, degrees): 6.5759 8.0950 6.3577 90.00 90.00 90.00
Closest atoms and distances in Å follow each position.
Fractional positions:
1 Zn 0.0765 0.1249 0.0000  4 Cl 2.30-2.31
2 Zn 0.4235 0.6249 0.5000  4 Cl 2.30-2.31
3 Zn 0.5765 0.3751 0.0000  4 Cl 2.30-2.31
4 Zn 0.9235 0.8751 0.5000  4 Cl 2.30-2.31
5 Cl 0.0631 0.1124 0.6376  2 Zn 2.30-2.31
6 Cl 0.0907 0.6408 0.6112  2 Zn 2.30
7 Cl 0.4093 0.1408 0.1112  2 Zn 2.30
8 Cl 0.4369 0.6124 0.1376  2 Zn 2.30-2.31
9 Cl 0.5631 0.3876 0.6376  2 Zn 2.30-2.31
10 Cl 0.5907 0.8592 0.6112  2 Zn 2.30
11 Cl 0.9093 0.3592 0.1112  2 Zn 2.30
12 Cl 0.9369 0.8876 0.1376  2 Zn 2.30-2.31

---

# 3
First-principles (PBE) data for a relaxed YInCu4 crystal, as listed in Materials Project.

Summary:
For the total energy, the calculation gives -27.24 eV per cell. As for the space group: No. 216.

Lattice parameters (Å, degrees): 5.1211 5.1211 5.1211 60.00 60.00 60.00
Closest atoms and distances in Å follow each position.
Fractional positions:
1 Y 0.0000 0.0000 0.0000  12 Cu 3.00, 4 In 3.14
2 In 0.7500 0.7500 0.7500  12 Cu 3.00, 4 Y 3.14
3 Cu 0.3753 0.3753 0.3753  6 Cu 2.55-2.57
4 Cu 0.3753 0.3753 0.8741  6 Cu 2.55-2.57
5 Cu 0.3753 0.8741 0.3753  6 Cu 2.55-2.57
6 Cu 0.8741 0.3753 0.3753  6 Cu 2.55-2.57

---

# 4
First-principles (PBE) data for a relaxed SmSi2Os2 crystal, as listed in Materials Project.

Summary:
For the total energy, the calculation gives -41.59 eV per cell. As for the space group: No. 139.

Lattice parameters (Å, degrees): 5.7410 5.7410 5.7410 137.18 137.18 62.15
Closest atoms and distances in Å follow each position.
Fractional positions:
1 Sm 0.0000 0.0000 0.0000  8 Si 3.23, 8 Os 3.23
2 Si 0.3700 0.3700 0.0000  4 Os 2.40, 1 Si 2.56
3 Si 0.6300 0.6300 0.0000  4 Os 2.40, 1 Si 2.56
4 Os 0.2500 0.7500 0.5000  4 Si 2.40
5 Os 0.7500 0.2500 0.5000  4 Si 2.40

---

# 5
- - -

I have a panic disorder. I was having a PANIC ATTACK.


  1. Hooray for panic attacks! Boo for heart attacks. Panic attacks are a kind of outward expression of a different kind of heart attack. Your heart has been under attack, and it's fighting back in its own way. I used to have them, and the first one was just like yours: a trip to the ER with nothing to show once I got there. I would tell you to be strong, but you already are. I want to tell you that IT will get better, but IT won't. You will, however, go on, and going on will place IT in new and different settings and perspectives. Pay attention to them all; you need to experience IT in those contexts in order to learn from it. There is moving on, but no moving away. I wish I could swoop down and cover your little patch of earth and group of people with some magic something or other that would erase this. I can't, but I wish I could. Find love. You know how to do that.

  2. 😢. My heart hurts because your heart hurts. Thank you for sharing this post. Love you!
